Excerpt:
'''
DFT (the ωB97M-V functional and the def2-TZVPD basis) results for one molecule with the formula C19H30N2O3S.

Each line ends with the Löwdin charge.
Geometry (Å):
C: -1.08677 2.21695 -3.21001  -0.05
C: -1.74815 1.67685 -1.93542  -0.56
C: -3.24012 2.03125 -1.99091  -0.06
C: -1.59866 0.15369 -1.92630  -0.05
C: -1.10634 2.34658 -0.69133  -0.26
C: 0.38801 2.01767 -0.49930  -0.13
C: 0.62221 0.94434 0.55635  -0.13
C: 0.14813 1.39104 1.95339  -0.22
C: -0.25195 0.11747 2.67770  -0.47
O: -1.33963 -0.40949 2.56545  0.07
N: 0.73073 -0.42578 3.44170  0.07
C: 0.61547 -1.75904 3.98274  -0.17
C: 1.63120 -2.72585 3.34798  -0.12
C: 1.69511 -2.54197 1.85709  -0.23
C: 0.58041 -2.78829 1.06119  -0.01
C: 0.62026 -2.54847 -0.30229  -0.06
C: 1.78572 -2.07492 -0.86972  -0.29
S: 1.89520 -1.65004 -2.59529  0.62
N: 0.56370 -2.42474 -3.26913  -0.05
O: 1.69654 -0.23345 -2.73032  -0.30
O: 3.08926 -2.22465 -3.14373  -0.29
C: 2.91020 -1.84318 -0.10414  -0.06
C: 2.86073 -2.07418 1.25958  -0.02
C: -1.03046 2.36556 1.83428  -0.14
C: -1.87608 2.05015 0.60571  -0.16
H: -1.11324 3.30443 -3.22764  0.09
H: -0.05263 1.89271 -3.28566  0.07
H: -1.61548 1.85082 -4.08816  0.08
H: -3.38259 3.10784 -1.92514  0.09
H: -3.78765 1.55809 -1.18106  0.08
H: -3.67044 1.69049 -2.93071  0.08
H: -2.01368 -0.28155 -1.02093  0.08
H: -2.13418 -0.26935 -2.77539  0.09
H: -0.55159 -0.12242 -2.00646  0.04
H: -1.17730 3.42725 -0.86813  0.14
H: 0.92048 2.92273 -0.19842  0.12
H: 0.83503 1.67289 -1.42969  0.08
H: 0.08001 0.04415 0.27016  0.10
H: 1.68304 0.68631 0.58812  0.12
H: 0.96754 1.87693 2.49262  0.14
H: 1.64168 0.00390 3.45534  0.14
H: -0.40763 -2.07509 3.76763  0.12
H: 0.75739 -1.73801 5.06837  0.12
H: 1.33416 -3.74742 3.59195  0.12
H: 2.61942 -2.54859 3.77701  0.11
H: -0.33016 -3.15019 1.51312  0.13
H: -0.24142 -2.72221 -0.92606  0.11
H: -0.05246 -1.77246 -3.72742  0.06
H: 0.84999 -3.16458 -3.88892  0.07
H: 3.80432 -1.48181 -0.58675  0.12
H: 3.73594 -1.88662 1.86516  0.12
H: -1.64844 2.29122 2.73130  0.12
H: -0.65495 3.38882 1.76816  0.12
H: -2.16478 1.00236 0.66287  0.10
H: -2.78509 2.65183 0.63945  0.12

Calculated values
Total energy, a.u.: -1475.452574
ΔE to the lowest compared entry with this formula, charge and spin, eV: 0.000
LUMO level, hartree: 0.02113
Highest occupied orbital energy, Eh: -0.3490
HOMO-LUMO gap, eV: 10.072

* * * * *

Below is a cluster of 14 separate species, C35H84Cl14O21S7 in total at a distorted geometry, with properties calculated with wB97M-V/def2-TZVPD.

Geometry as XYZ:
```
161
Properties=species:S:1:pos:R:3:mulliken_charge:R:1
O 0.3818 5.2871 0.1132 -0.395
S 1.7608 5.6919 -0.1376 0.999
O 2.6946 4.6976 -0.6022 -0.591
O 1.7629 6.9722 -1.0773 -0.286
C 0.6239 7.1473 -1.9521 0.534
C 1.1700 8.1499 -2.8780 -1.478
C 2.4780 6.5072 1.3010 -1.258
H -0.1905 7.4392 -1.3248 0.252
H 0.3993 6.1801 -2.3830 -0.045
H 2.0524 7.7301 -3.3844 0.294
H 1.5520 8.9924 -2.3013 0.337
H 0.4415 8.4296 -3.6258 0.426
H 2.7356 5.7577 2.0575 0.323
H 1.7844 7.2348 1.6924 0.357
H 3.3107 7.0294 0.9038 0.443
O 2.0111 -4.4754 4.4096 -0.791
S 1.4890 -5.1125 3.2552 1.107
O 1.1576 -4.2370 2.1733 -0.316
O 2.5274 -6.1618 2.7461 -0.202
C 3.5727 -6.6925 3.6766 -0.448
C 4.9874 -6.1806 3.3438 -1.001
C 0.1337 -6.0156 3.7530 -1.123
H 3.4922 -7.7532 3.6467 0.413
H 3.3814 -6.2843 4.6972 0.321
H 5.2818 -6.6651 2.4521 0.318
H 5.6017 -6.5739 4.1715 0.420
H 5.1362 -5.0870 3.4295 0.202
H 0.5067 -6.7510 4.4762 0.442
H -0.2920 -6.5280 2.9026 0.323
H -0.5966 -5.4047 4.3103 0.247
O 1.2325 -0.1121 -2.2143 -0.301
S 2.2023 0.6104 -3.0005 0.577
O 2.1547 0.7063 -4.4271 -0.670
O 2.3447 2.0849 -2.4531 0.278
C 2.3212 3.2954 -3.4482 0.092
C 3.7382 3.7704 -3.6127 -1.293
C 3.7661 -0.0331 -2.4404 -0.327
H 1.6423 3.9582 -2.8905 -0.330
H 1.8720 2.9246 -4.3476 0.739
H 4.3373 2.9340 -3.8718 0.274
H 3.9977 4.1834 -2.6598 0.269
H 3.8413 4.5089 -4.3901 0.385
H 3.9029 -1.1396 -2.6065 0.213
H 3.8028 0.2310 -1.3615 -0.300
H 4.5916 0.5863 -2.9243 0.259
O 1.8128 1.6264 2.4961 -0.993
S 1.4037 0.9476 1.2696 1.207
'''

Work order:
Now repeat every line above that contains the word "compared".

Here it is:
ΔE to the lowest compared entry with this formula, charge and spin, eV: 0.000